Entries:
+++
Below is a relaxed structure of MgNiH6, with properties calculated at the GGA-PBE level.

Lattice parameters (Å, degrees): 4.1358 4.1358 10.8299 90.00 90.00 120.00
Space group R-3 (No. 148, hexagonal axes)
Unique sites:
Mg1 0.0000 0.0000 0.0000
Ni1 0.0000 0.0000 0.5000
H1 0.0095 0.5611 0.9089

Results
**Calculated total energy**: -3.3366 eV/atom
**Total moment**: 0.00 μB per formula unit


Below is a relaxed structure of Hf3BeC, with properties calculated at the GGA-PBE level.

Lattice parameters (Å, degrees): 4.414 4.414 4.414 90.00 90.00 90.00
Space group Pm-3m (No. 221)
Unique sites:
Hf1 0.000 0.000 0.500
Be1 0.500 0.500 0.500
C1 0.000 0.000 0.000

Results
**Calculated total energy**: -8.7945 eV/atom
**Total moment**: 0.00 μB per formula unit


Below is a relaxed structure of TbAlB, with properties calculated at the GGA-PBE level.

Lattice parameters (Å, degrees): 6.028 6.028 6.028 90.00 90.00 90.00
Space group F-43m (No. 216)
Unique sites:
Tb1 0.000 0.000 0.000
Al1 0.250 0.250 0.750
B1 0.000 0.000 0.500

Results
**Calculated total energy**: -4.3698 eV/atom
**Total moment**: 0.00 μB per formula unit

=====

[1]
# PBE La3Si2Ge, optimized geometry
data_La3Si2Ge
_chemical_formula_sum 'La12 Si8 Ge4'
_cell_length_a 12.237
_cell_length_b 4.266
_cell_length_c 12.230
_cell_angle_alpha 90.00
_cell_angle_beta 90.00
_cell_angle_gamma 90.00
_symmetry_space_group_name_H-M 'P n m a'
_symmetry_Int_Tables_number 62
loop_
_symmetry_equiv_pos_as_xyz
'x,y,z'
'-x,-y,-z'
'-x+1/2,-y,z+1/2'
'x+1/2,y,-z+1/2'
'x+1/2,-y+1/2,-z+1/2'
'-x+1/2,y+1/2,z+1/2'
'-x,y+1/2,-z'
'x,-y+1/2,z'
loop_
_atom_site_label
_atom_site_type_symbol
_atom_site_fract_x
_atom_site_fract_y
_atom_site_fract_z
La1 La 0.061 0.250 0.119
La2 La 0.118 0.750 0.558
La3 La 0.201 0.250 0.795
Si1 Si 0.026 0.750 0.311
Si2 Si 0.195 0.750 0.990
Ge1 Ge 0.132 0.250 0.368
# Crystal system: orthorhombic
# Formation energy from raw total energies, meV/atom: -661
# Density of states at the Fermi level, states/eV/f.u.: 4.2
# Calculated volume, Å³/f.u.: 159.6
# Final energy, eV per atom: -5.70

---

[2]
# PBE LaSmSiGe, optimized geometry
data_LaSmSiGe
_chemical_formula_sum 'La2 Sm2 Si2 Ge2'
_cell_length_a 4.014
_cell_length_b 4.516
_cell_length_c 11.100
_cell_angle_alpha 90.00
_cell_angle_beta 90.00
_cell_angle_gamma 90.00
_symmetry_space_group_name_H-M 'A m m 2'
_symmetry_Int_Tables_number 38
loop_
_symmetry_equiv_pos_as_xyz
'x,y,z'
'-x,-y,z'
'-x,y,z'
'x,-y,z'
'x,y+1/2,z+1/2'
'-x,-y+1/2,z+1/2'
'-x,y+1/2,z+1/2'
'x,-y+1/2,z+1/2'
loop_
_atom_site_label
_atom_site_type_symbol
_atom_site_fract_x
_atom_site_fract_y
_atom_site_fract_z
La1 La 0.000 0.000 0.000
Sm1 Sm 0.500 0.000 0.278
Si1 Si 0.000 0.000 0.720
Ge1 Ge 0.500 0.000 0.568
# Crystal system: orthorhombic
# Formation energy from raw total energies, meV/atom: -787
# Density of states at the Fermi level, states/eV/f.u.: 3.5
# Calculated volume, Å³/f.u.: 100.6
# Final energy, eV per atom: -5.71

---

[3]
# PBE Sr2LaSiGe, optimized geometry
data_Sr2LaSiGe
_chemical_formula_sum 'Sr2 La1 Si1 Ge1'
_cell_length_a 6.057
_cell_length_b 6.057
_cell_length_c 4.871
_cell_angle_alpha 90.00
_cell_angle_beta 90.00
_cell_angle_gamma 90.00
_symmetry_space_group_name_H-M 'P 4/m m m'
_symmetry_Int_Tables_number 123
_symmetry_space_group_name_Hall '-P 4 2'
loop_
_atom_site_label
_atom_site_type_symbol
_atom_site_fract_x
_atom_site_fract_y
_atom_site_fract_z
Sr1 Sr 0.000 0.500 0.000
La1 La 0.000 0.000 0.500
Si1 Si 0.500 0.500 0.500
Ge1 Ge 0.500 0.500 0.000
# Crystal system: tetragonal
# Formation energy from raw total energies, meV/atom: 267
# Density of states at the Fermi level, states/eV/f.u.: 6.8
# Calculated volume, Å³/f.u.: 178.7
# Final energy, eV per atom: -3.40

---

[4]
# PBE LaSiTc2Ge2, optimized geometry
data_LaSiTc2Ge2
_chemical_formula_sum 'La1 Si1 Tc2 Ge2'
_cell_length_a 4.511
_cell_length_b 4.511
_cell_length_c 5.698
_cell_angle_alpha 90.00
_cell_angle_beta 90.00
_cell_angle_gamma 90.00
_symmetry_space_group_name_H-M 'P 4/m m m'
+++

Job:
Type out only the lines earlier on with the word "Pm-3m" in them.

Worked solution:
Space group Pm-3m (No. 221)